[Wanted]
Duplicate every line underneath that contains the word "N1", please.

[Listing]
-- begin --
# Sm4Cu3Os, optimized geometry, DFT PBE
data_Sm4Cu3Os
_chemical_formula_sum 'Sm4 Cu3 Os1'
_cell_length_a 4.9744
_cell_length_b 4.9744
_cell_length_c 7.1023
_cell_angle_alpha 90.00
_cell_angle_beta 90.00
_cell_angle_gamma 90.00
_space_group_name_H-M_alt 'P 4/m m m'
_space_group_IT_number 123
_space_group_name_Hall '-P 4 2'
loop_
_atom_site_label
_atom_site_fract_x
_atom_site_fract_y
_atom_site_fract_z
_atom_site_occupancy
Sm1 0.0000 0.5000 0.2419 1
Cu1 0.0000 0.0000 0.0000 1
Cu2 0.0000 0.0000 0.5000 1
Cu3 0.5000 0.5000 0.5000 1
Os1 0.5000 0.5000 0.0000 1
# Size of the total moment = 0.00 μB/cell
# Energy relative to the elements = -0.17 eV per atom
# Total DFT energy (no corrections) = -5.465 eV per atom


# PuTh5N6, optimized geometry, DFT PBE
data_PuTh5N6
_chemical_formula_sum 'Pu2 Th10 N12'
_cell_length_a 6.2999
_cell_length_b 10.9201
_cell_length_c 6.3094
_cell_angle_alpha 90.00
_cell_angle_beta 109.44
_cell_angle_gamma 90.00
_space_group_name_H-M_alt 'C 1 2/m 1'
_space_group_IT_number 12
loop_
_space_group_symop_operation_xyz
'x,y,z'
'-x,-y,-z'
'-x,y,-z'
'x,-y,z'
'x+1/2,y+1/2,z'
'-x+1/2,-y+1/2,-z'
'-x+1/2,y+1/2,-z'
'x+1/2,-y+1/2,z'
loop_
_atom_site_label
_atom_site_fract_x
_atom_site_fract_y
_atom_site_fract_z
_atom_site_occupancy
Pu1 0.0000 0.0000 0.0000 1
Th1 0.0000 0.1658 0.5000 1
Th2 0.0000 0.3333 0.0000 1
Th3 0.0000 0.5000 0.5000 1
N1 0.2486 0.0000 0.7501 1
N2 0.2489 0.1662 0.2488 1
# Size of the total moment = 10.71 μB/cell
# Total DFT energy (no corrections) = -9.957 eV per atom
# Energy relative to the elements, uncorrected = -1.51 eV per atom


size of the total moment of number 2 (PuTh5N6)? 10.71 μB/cell


total DFT energy (no corrections) of number 1 (Sm4Cu3Os)? -5.465 eV per atom
-- stop --

[Solution]
N1 0.2486 0.0000 0.7501 1